Activity:
Print the whole of the entries further down exactly.

Listing:
=====
[1]
TaP2 after structural relaxation. Source: the Alexandria database, functional PBE-GGA.

abc: 6.7467 6.7467 4.7690
angles: 69.31 69.31 28.87
Sites, in units of the cell vectors:
Ta: 0.0142 0.0142 0.0970
Ta: 0.2635 0.2635 0.8475
P: 0.9236 0.9236 0.6876
P: 0.6389 0.6389 0.2410
P: 0.3541 0.3541 0.2568
P: 0.6389 0.6389 0.7034

* N(E_F): 1.05 states/eV per cell
* mass density: 8.3 g/cm3
* calculated formation energy: -600 meV per atom



[2]
Ta5P after structural relaxation. Source: the Alexandria database, functional PBE-GGA.

abc: 5.4099 5.4099 5.4099
angles: 60.00 60.00 60.00
Sites, in units of the cell vectors:
Ta: 0.6244 0.6244 0.6244
Ta: 0.6244 0.1269 0.6244
Ta: 0.2500 0.2500 0.2500
Ta: 0.6244 0.6244 0.1269
Ta: 0.1269 0.6244 0.6244
P: 0.0000 0.0000 0.0000

* N(E_F): 8.13 states/eV per cell
* mass density: 13.9 g/cm3
* calculated formation energy: 534 meV per atom
* polymorph energy (0 for the lowest one): 700 meV per atom



[3]
Ta3P after structural relaxation. Source: the Alexandria database, functional PBE-GGA.

abc: 5.5912 5.5912 4.3174
angles: 90.00 90.00 93.72
Sites, in units of the cell vectors:
Ta: 0.8377 0.6064 0.2500
Ta: 0.3936 0.1623 0.2500
Ta: 0.1229 0.8771 0.7500
Ta: 0.6064 0.8377 0.7500
Ta: 0.8771 0.1229 0.2500
Ta: 0.1623 0.3936 0.7500
P: 0.3262 0.6738 0.2500
P: 0.6738 0.3262 0.7500

* N(E_F): 5.32 states/eV per cell
* mass density: 14.1 g/cm3
* calculated formation energy: -173 meV per atom



[4]
Ta3P after structural relaxation. Source: the Alexandria database, functional PBE-GGA.

abc: 5.0324 5.0324 5.0324
angles: 141.12 118.55 75.15
Sites, in units of the cell vectors:
Ta: 0.5869 0.5000 0.0869
Ta: 0.9333 0.2880 0.6453
Ta: 0.3573 0.7120 0.6453
P: 0.9559 0.0000 0.9559

* N(E_F): 1.25 states/eV per cell
* mass density: 13.9 g/cm3
* calculated formation energy: -332 meV per atom



Q: The lowest N(E_F) belongs to which entry?
A: TaP2



Q: What is the N(E_F) in the third record?
A: 5.32 states/eV per cell



Q: Which of these has the highest mass density?
A: number 3



What did the first record say?
TaP2 after structural relaxation. Source: the Alexandria database, functional PBE-GGA.

abc: 6.7467 6.7467 4.7690
angles: 69.31 69.31 28.87
Sites, in units of the cell vectors:
Ta: 0.0142 0.0142 0.0970
Ta: 0.2635 0.2635 0.8475
P: 0.9236 0.9236 0.6876
P: 0.6389 0.6389 0.2410
P: 0.3541 0.3541 0.2568
P: 0.6389 0.6389 0.7034

* N(E_F): 1.05 states/eV per cell
* mass density: 8.3 g/cm3
* calculated formation energy: -600 meV per atom

=====

Below is a relaxed RhIBrN2 crystal, with properties calculated at the PBE level.

Computed properties:
density of states at the Fermi level = 0.6694 states/eV per atom
polymorph energy (0 for the lowest one) = 0 meV per atom
mass density = 4.4 g cm⁻³

abc: 3.915 3.915 8.341
angles: 90.00 90.00 90.00
Site moments in Bohr magnetons follow the coordinates.
Atoms (fractional coordinates):
I1 0.000 0.000 0.500  0.00
Rh1 0.000 0.000 0.000  -0.05
Br1 0.500 0.500 0.500  0.00
N1 0.000 0.500 0.000  0.15
N2 0.500 0.000 0.000  0.15

=====

(1)
# CrGeSbO6

A relaxed structure of CrGeSbO6 (PBEsol, Alexandria).

Calculated values
Total moment in μB per formula unit: 3.0
Raw formation energy in meV per atom: -1681
E_tot in eV per atom: -7.373

The structure in CIF format:
```
data_CrGeSbO6
_cell_length_a 4.534
_cell_length_b 4.534
_cell_length_c 9.025
_cell_angle_alpha 90.00
_cell_angle_beta 90.00
_cell_angle_gamma 90.00
_symmetry_space_group_name_H-M 'P 1'
_symmetry_Int_Tables_number 1
loop_
_symmetry_equiv_pos_as_xyz
'x,y,z'
loop_
_atom_site_label
_atom_site_type_symbol
_atom_site_fract_x
_atom_site_fract_y
_atom_site_fract_z
Cr1 Cr 0.000 0.000 0.000
Cr2 Cr 0.500 0.500 0.500
Ge1 Ge 0.000 0.000 0.667
Ge2 Ge 0.500 0.500 0.167
Sb1 Sb 0.000 0.000 0.333
Sb2 Sb 0.500 0.500 0.833
O1 O 0.188 0.188 0.829
O2 O 0.193 0.193 0.506
O3 O 0.200 0.200 0.165
O4 O 0.300 0.700 0.665
O5 O 0.307 0.693 0.006
O6 O 0.312 0.688 0.329
O7 O 0.688 0.312 0.329
O8 O 0.693 0.307 0.006
O9 O 0.700 0.300 0.665
=====

Written answer:
[1]
TaP2 after structural relaxation. Source: the Alexandria database, functional PBE-GGA.

abc: 6.7467 6.7467 4.7690
angles: 69.31 69.31 28.87
Sites, in units of the cell vectors:
Ta: 0.0142 0.0142 0.0970
Ta: 0.2635 0.2635 0.8475
P: 0.9236 0.9236 0.6876
P: 0.6389 0.6389 0.2410
P: 0.3541 0.3541 0.2568
P: 0.6389 0.6389 0.7034

* N(E_F): 1.05 states/eV per cell
* mass density: 8.3 g/cm3
* calculated formation energy: -600 meV per atom



[2]
Ta5P after structural relaxation. Source: the Alexandria database, functional PBE-GGA.

abc: 5.4099 5.4099 5.4099
angles: 60.00 60.00 60.00
Sites, in units of the cell vectors:
Ta: 0.6244 0.6244 0.6244
Ta: 0.6244 0.1269 0.6244
Ta: 0.2500 0.2500 0.2500
Ta: 0.6244 0.6244 0.1269
Ta: 0.1269 0.6244 0.6244
P: 0.0000 0.0000 0.0000

* N(E_F): 8.13 states/eV per cell
* mass density: 13.9 g/cm3
* calculated formation energy: 534 meV per atom
* polymorph energy (0 for the lowest one): 700 meV per atom



[3]
Ta3P after structural relaxation. Source: the Alexandria database, functional PBE-GGA.

abc: 5.5912 5.5912 4.3174
angles: 90.00 90.00 93.72
Sites, in units of the cell vectors:
Ta: 0.8377 0.6064 0.2500
Ta: 0.3936 0.1623 0.2500
Ta: 0.1229 0.8771 0.7500
Ta: 0.6064 0.8377 0.7500
Ta: 0.8771 0.1229 0.2500
Ta: 0.1623 0.3936 0.7500
P: 0.3262 0.6738 0.2500
P: 0.6738 0.3262 0.7500

* N(E_F): 5.32 states/eV per cell
* mass density: 14.1 g/cm3
* calculated formation energy: -173 meV per atom



[4]
Ta3P after structural relaxation. Source: the Alexandria database, functional PBE-GGA.

abc: 5.0324 5.0324 5.0324
angles: 141.12 118.55 75.15
Sites, in units of the cell vectors:
Ta: 0.5869 0.5000 0.0869
Ta: 0.9333 0.2880 0.6453
Ta: 0.3573 0.7120 0.6453
P: 0.9559 0.0000 0.9559

* N(E_F): 1.25 states/eV per cell
* mass density: 13.9 g/cm3
* calculated formation energy: -332 meV per atom



Q: The lowest N(E_F) belongs to which entry?
A: TaP2



Q: What is the N(E_F) in the third record?
A: 5.32 states/eV per cell



Q: Which of these has the highest mass density?
A: number 3



What did the first record say?
TaP2 after structural relaxation. Source: the Alexandria database, functional PBE-GGA.

abc: 6.7467 6.7467 4.7690
angles: 69.31 69.31 28.87
Sites, in units of the cell vectors:
Ta: 0.0142 0.0142 0.0970
Ta: 0.2635 0.2635 0.8475
P: 0.9236 0.9236 0.6876
P: 0.6389 0.6389 0.2410
P: 0.3541 0.3541 0.2568
P: 0.6389 0.6389 0.7034

* N(E_F): 1.05 states/eV per cell
* mass density: 8.3 g/cm3
* calculated formation energy: -600 meV per atom

=====

Below is a relaxed RhIBrN2 crystal, with properties calculated at the PBE level.

Computed properties:
density of states at the Fermi level = 0.6694 states/eV per atom
polymorph energy (0 for the lowest one) = 0 meV per atom
mass density = 4.4 g cm⁻³

abc: 3.915 3.915 8.341
angles: 90.00 90.00 90.00
Site moments in Bohr magnetons follow the coordinates.
Atoms (fractional coordinates):
I1 0.000 0.000 0.500  0.00
Rh1 0.000 0.000 0.000  -0.05
Br1 0.500 0.500 0.500  0.00
N1 0.000 0.500 0.000  0.15
N2 0.500 0.000 0.000  0.15

=====

(1)
# CrGeSbO6

A relaxed structure of CrGeSbO6 (PBEsol, Alexandria).

Calculated values
Total moment in μB per formula unit: 3.0
Raw formation energy in meV per atom: -1681
E_tot in eV per atom: -7.373

The structure in CIF format:
```
data_CrGeSbO6
_cell_length_a 4.534
_cell_length_b 4.534
_cell_length_c 9.025
_cell_angle_alpha 90.00
_cell_angle_beta 90.00
_cell_angle_gamma 90.00
_symmetry_space_group_name_H-M 'P 1'
_symmetry_Int_Tables_number 1
loop_
_symmetry_equiv_pos_as_xyz
'x,y,z'
loop_
_atom_site_label
_atom_site_type_symbol
_atom_site_fract_x
_atom_site_fract_y
_atom_site_fract_z
Cr1 Cr 0.000 0.000 0.000
Cr2 Cr 0.500 0.500 0.500
Ge1 Ge 0.000 0.000 0.667
Ge2 Ge 0.500 0.500 0.167
Sb1 Sb 0.000 0.000 0.333
Sb2 Sb 0.500 0.500 0.833
O1 O 0.188 0.188 0.829
O2 O 0.193 0.193 0.506
O3 O 0.200 0.200 0.165
O4 O 0.300 0.700 0.665
O5 O 0.307 0.693 0.006
O6 O 0.312 0.688 0.329
O7 O 0.688 0.312 0.329
O8 O 0.693 0.307 0.006
O9 O 0.700 0.300 0.665